Severo Ochoa Programme 2018-2022 Pillar 4: Cross-cutting Areas - Internationalisation

In order to boost its presence and recognition on the international stage, the ICN2 will reach out to international research institutions through different programmes aimed at facilitating mobility, strengthening scientific collaboration and increasing participation.

  • International Visiting Scientist Programme

    This Programme, aimed at attracting top-class international researches for few-months stays at ICN2, was launched in 2020. Due to the COVID-19 emergency, all visits have been postponed until 2021.

  • Outbound Mobility Programme

    This Programme, meant to fund short stays abroad of ICN2 PhD students and young researchers, was launched in 2019. So far, 8 students, 3 postdocs and 1 technician have been granted with SO funding to spend short stays (between 2 weeks and 3 months) in various international laboratories, to access singular experimental facilities and to initiate scientific collaborations.

  • Collaboration with key International partners

    Collaborations have been increased with a number of institutes, in particular with: CEA (France), NUS/CA2DM (Singapore), University of Cambridge (UK), EPFL (Switzerland), VTT (Finland), and RMIT (Australia).

  • Collaboration with Microsoft Quantum Labs in Delft and Copenhagen

    This important collaboration will allow developing scalable hybrid nanowire-base circuits for quantum computing applications; connected to this collaboration is the generous donation by Microsoft of several hundreds of k€ to contribute to the purchase of a new aberration-corrected Transmission Electron Microscope.

  • Collaboration with other local institutes

    Two projects, led by the ICN2, have been established with the Hospital Clinic in Barcelona: a) PROMECeAN: a project aiming to apply nanoparticles to the treatment of liver cancer and b) CONCORD: a project aiming to improve the immunotherapy of Chronic Lymphocytic Leukaemia thanks to nanomedicine.

    A project in collaboration with the Vall d'Hebron Research Institute (VHIR) in Barcelona has received funding from the BBVA Foundation: NANO-ERT: aiming at applying nanotechnology to the development of a novel therapy against Parkinson’s disease.

    A joint research project with the Germans Trias i Pujol Research Institute (IGTP) in Badalona (Barcelona) led to the creation of a spin-off, called Ahead Therapeutics SL.

Specific funds will be allocated to allow inviting international scientists for short stays at our institute and to enable ICN2 researchers (in particular Ph.D. students and postdocs) to spend a period at some prominent international centres.

During this Severo Ochoa, a number of seminars by internationally renowned scientists will be held at the ICN2 and seven thematic workshops will be organized in collaboration with the research application domains and the other cross-cutting areas.

The ICN2 Strategy Development Office will also incentivise participation in H2020 and other international funding calls. It will support our researchers during the project preparation phase and will help them in identifying relevant calls.

Action Managers

No. 1
This record from the Open Molecules 2025 dataset describes an isolated molecule of C14H17Br at a distorted geometry. The level of theory is ωB97M-V/def2-TZVPD.

Element x y z (Å)
C -0.87 -1.83 -1.18
C 0.24 -1.55 -2.10
C -1.31 -0.93 -0.23
C 1.06 -0.51 -1.80
C -0.73 -0.23 2.50
C -3.32 3.11 -0.38
C 3.75 -2.16 0.58
C -0.73 0.66 1.55
C -2.61 2.01 -0.12
C 3.20 -1.01 0.31
C -0.62 0.44 0.03
C 0.95 0.16 -0.47
C -1.29 1.56 -0.73
C 1.75 -0.64 0.61
Br 2.02 1.92 -0.48
H -1.44 -2.82 -1.20
H 0.39 -2.14 -2.95
H -2.13 -1.28 0.31
H 1.92 -0.18 -2.48
H -0.90 0.01 3.57
H -0.81 -1.27 2.41
H -4.30 3.29 0.00
H -3.08 4.08 -0.94
H 4.78 -2.30 0.32
H 3.21 -3.03 0.96
H -0.88 1.75 1.66
H -3.00 1.28 0.58
H 3.87 -0.32 -0.01
H -1.54 1.38 -1.85
H -0.57 2.38 -0.80
H 1.29 -1.63 0.68
H 1.71 -0.20 1.63

The calculation puts the LUMO energy at 0.011 Ha. As for the charge: 0. Its orbital gap is 0.327 Ha. The structure (SMILES) is C=CC[C@@]1(C=C)C=CC=C[C@]1(Br)CC=C. Its largest force on an atom is 3.8 eV/Å. As for the energy above the lowest of the compared OMol25 structures with the same formula, charge and spin: 0.0 kJ/mol. The value obtained for the HOMO energy is -8.620 eV.

---

No. 2
This record from the Open Molecules 2025 dataset describes a cluster of 4 separate species, C4H17N2O4 in total at a distorted geometry. The level of theory is ωB97M-V/def2-TZVPD.

Element x y z (Å)
N 0.33 -0.67 -0.55
C 0.07 0.64 0.09
C -0.81 0.46 1.36
C -2.11 -0.28 1.10
O -2.13 -1.35 0.53
C 1.37 1.38 0.47
N 2.52 0.48 0.58
H -0.49 -1.27 -0.65
H 0.99 -1.20 0.05
H 0.77 -0.54 -1.49
H -0.48 1.22 -0.65
H -0.17 -0.14 2.01
H -0.92 1.43 1.83
H -3.03 0.25 1.37
H 1.53 2.13 -0.30
H 1.27 1.87 1.44
H 2.92 0.44 1.50
H 3.23 0.69 -0.10
H 0.94 -3.64 0.62
H 2.42 -3.29 0.92
O 1.59 -2.92 0.59
H -0.21 -0.67 -3.45
H 0.97 0.18 -3.92
O 0.72 -0.46 -3.24
H -1.91 3.74 0.09
H -3.19 2.88 -0.04
O -2.21 2.87 -0.09

The calculation puts the LUMO energy at -0.095 Ha. As for the charge: +1. Its orbital gap is 0.390 Ha. Its largest force on an atom is 1.8 eV/Å. As for the energy above the lowest of the compared OMol25 structures with the same formula, charge and spin: 141.7 kJ/mol. The value obtained for the HOMO energy is -13.188 eV.

---

No. 3
This record from the Open Molecules 2025 dataset describes the ion C2H8N3P2 with charge +1 at a distorted geometry. The level of theory is ωB97M-V/def2-TZVPD.

Element x y z (Å)
C 0.28 0.95 0.46
C 2.28 -0.29 -0.15
N -0.73 1.35 -2.20
N 1.47 0.68 0.65
N -1.07 -0.89 1.45
P -0.76 0.52 -0.92
P -2.21 -0.46 0.54
H 1.56 -1.05 -0.77
H 2.86 0.36 -0.96
H 2.86 -0.95 0.45
H -1.49 1.28 -2.87
H 1.93 1.06 1.43
H -1.00 -1.43 2.26
H -2.69 -1.38 -0.42
H -3.28 0.25 1.07
_The quantum chemistry results stop here_

Prof. Stephan Roche
Leader of the ICN2 Theoretical and Computational Nanoscience Group

Prof. Jose Antonio Garrido
Leader of the ICN2 Advanced Electronic Materials and Devices Group